Damn... this is deep

damn... this is deep

Welcome to democracy

Here the article breaks off for records of crystals.
[1]
! PBE-GGA K3Al2P3O12, optimized geometry; values from VASP
&SYSTEM
  ibrav = 0, nat = 80, ntyp = 4
/
ATOMIC_SPECIES
O 16.00 O.upf
Al 26.98 Al.upf
P 30.97 P.upf
K 39.10 K.upf
CELL_PARAMETERS angstrom
8.5800 0.0000 0.0000
0.0000 8.8142 0.0000
0.0000 0.0000 17.1391
ATOMIC_POSITIONS angstrom
O 4.5985 2.3224 8.1763
O 5.1987 8.0700 12.1127
O 6.5438 6.9859 9.8589
O 3.5513 1.9017 14.5056
O 7.7039 0.3249 11.3817
O 7.9821 6.3165 5.1293
O 3.6921 6.9048 13.6988
O 3.4139 4.0822 2.8121
O 0.9087 0.7442 5.0264
O 2.8374 1.1473 9.6048
O 3.2683 2.4224 4.7097
O 2.7356 4.1395 13.6365
O 7.7039 4.7320 14.3270
O 7.0256 4.6747 3.5026
O 7.1274 7.6669 7.5343
O 4.5985 6.7295 0.3933
O 7.9821 1.9094 3.4403
O 0.9967 1.9100 11.8320
O 7.4319 7.2132 14.8634
O 7.0256 0.2676 5.0669
O 7.8413 6.9125 2.6335
O 0.3085 2.0847 16.7459
O 2.5564 8.0280 16.6671
O 6.8464 5.1934 8.0975
O 0.3085 6.4918 8.9628
O 7.1274 3.2598 1.0352
O 0.9967 6.3171 13.8767
O 3.5513 6.3089 11.2031
O 2.2538 6.2354 1.2893
O 6.5438 2.5788 15.8498
O 7.8413 2.5054 5.9360
O 6.8464 0.7863 0.4720
O 3.4139 8.4893 5.7575
O 3.1419 6.0081 6.2939
O 3.2683 6.8295 3.8598
O 7.5583 6.3918 12.4294
O 7.5583 1.9847 13.2793
O 5.2867 2.4971 3.2625
O 3.1419 1.6010 2.2757
O 5.1987 3.6629 13.5960
O 2.7356 8.5466 12.0722
O 2.8374 5.5544 16.1039
O 2.5564 3.6208 9.0416
O 3.6921 2.4977 12.0099
O 0.9087 5.1513 3.5432
O 2.2538 1.8283 7.2803
O 7.4319 2.8061 10.8453
O 5.2867 6.9042 5.3071
Al 2.4857 1.1622 5.6809
Al 2.4857 5.5694 2.8887
Al 2.5729 1.3130 11.3302
Al 2.5729 5.7201 14.3785
Al 6.8629 3.0941 2.7606
Al 6.7757 7.6520 11.4583
Al 6.7757 3.2449 14.2504
Al 6.8629 7.5013 5.8089
P 7.4065 6.5125 8.6126
P 3.1165 6.7088 0.0430
P 3.7914 2.9962 13.4925
P 3.7303 2.6131 3.2239
P 8.0814 5.8180 3.6466
P 3.7914 7.4033 12.2162
P 8.0814 1.4109 4.9229
P 7.4065 2.1054 17.0961
P 3.7303 7.0202 5.3456
P 8.0203 6.2011 13.9152
P 8.0203 1.7940 11.7935
P 3.1165 2.3017 8.5266
K 7.1223 5.9334 0.1499
K 0.9265 4.5227 6.8559
K 0.9265 0.1156 1.7136
K 1.1305 0.3827 14.7217
K 5.2164 4.2915 10.2832
K 7.1223 1.5263 8.4197
K 1.1305 4.7898 10.9870
K 5.4205 8.4315 2.4174
K 2.8323 7.2880 8.7194
K 5.4205 4.0244 6.1521
K 5.2164 8.6987 15.4255
K 2.8323 2.8809 16.9893
! Space group ... Pna2_1 (33)
! Energy with MP2020 corrections ... -7.26 eV/atom
! ΔH_f (0 K) ... -2941 meV/atom

***

[2]
! PBE-GGA K3AlP2O8, optimized geometry; values from VASP
&SYSTEM
  ibrav = 0, nat = 168, ntyp = 4
/
ATOMIC_SPECIES
O 16.00 O.upf
Al 26.98 Al.upf
K 39.10 K.upf
P 30.97 P.upf
CELL_PARAMETERS angstrom
-2.4877 -9.6361 0.3840
13.0165 -3.2507 2.7508
-7.3216 2.6483 19.0226
ATOMIC_POSITIONS angstrom
O -5.6809 -7.4724 12.7852
O 5.6090 -10.2279 11.3938
O 5.0556 -6.9025 6.6017
O 7.9606 -1.9436 13.1291
O 8.3344 -7.7679 8.4270
O 1.7681 -2.9699 14.0031
O 8.5042 -4.9395 8.2682
O 6.8303 -3.0295 7.9258
O -2.8381 -5.0533 20.3146
O -0.7006 -6.6539 12.2420
O 1.2369 -2.9487 20.9058
O -2.8903 -5.7558 7.0059
O 0.0432 -1.0992 13.7060
O 0.0806 -1.4542 0.3835
O 1.4390 -7.2686 8.1543
O 9.1540 -2.9194 6.8440

because why allow mindless drones and deranged fags the ability to influence the world economy and domestic policies

Hes right though, there's a reason we have the Supreme Court

I agree. Why aren't sheep, dogs and cats allowed to vote? Like why are we even voting on who gets to vote?

These people already have rights. What they're actually striving for is special treatment.

How do you give someone God given rights?

>comparing women and gays to animals

i agree like wtf why should we vote on the right to murder and kill the nearest child you find

like wtf why should we vote on the right to chop the tips of our dicks off

mmmh makes u thank and shit

Woke af

Women and gays always want more and more

Because they already have all the rights everybody else has. What's being voted on are special privileges, but their proponents call them "rights" so dumb faggots that don't understand underhanded word games like that vote for them.

Marriage was never a RIGHT not even for straight people. Marriage is a privilege.

Women wanting to get CEO positions for having a vagina and no education or experience is NOT a right and was never a right not even for white males.

Nobody wants EQUALITY everyone wants EQUITY. Everyone except straight white men who want EQUALITY.

What rights are being denied? Which bill is excluding fags and bitches from any rights are we currently voting on?

How dare you.

Didn't know marriage or killing the unborn was a right ensured by the constitution.

>i mean why do we even need to vote for the legal right to have sex , like literally why do men over 18 cannot have sex with women under 18 like why we even voting on who can and can not have sex

Because they're not rights.

Most of the world still hates gays and free women

Then why don't they do anything about these real issues instead of complaining about video game titties?

Humans are animals you fucking faggot.

The world could definitely do better without them but we certainly not denying them rights.

Because what you think are rights aren't actually rights.

yeah I mean, the "right" to gay is definitely in the constitution, same with the "right" to abort. why are we even voting on whether or not someone gets rights or not.

but when it comes to ENUMERATED right, like the right to defense, dipfucks want to ban guns, install hoops through which everyone must jump. beautiful. just beautiful.

>The Court has simultaneously transformed judicially created rights like the right to abortion into preferred constitutional rights, while disfavoring many of the rights actually enumerated in the Constitution. But our Constitution renounces the notion that some constitutional rights are more equal than others. A plaintiff either possesses the constitutional right he is asserting, or not—and if not, the judiciary has no business creating ad hoc exceptions so that others can assert rights that seem especially important to vindicate. A law either infringes a constitutional right, or not; there is no room for the judiciary to invent tolerable degrees of encroachment.

>pic related


Because it can cause harm because children aren't developed enough and cannot give consent and or can be easily coerced into sexual activities

Hey, we just want to kill the dirty fuckers and bring them the big mac of civilisation, you're the fucks telling us to play nice and let them elect another mad caliph to the murder-pulpit. Third waves make this big deal about what is and isn't sacrosanct and then go and get their dick wet with the monsters they claim to fight.

Deranged lunatics.

have that choice in Saudi Arabia , you'll be shot faster than you could grab the button to blow yourself up

>gay rights
There is no "right to marriage" in the Constitution or any religious text, stop pretending that marriage is some sort of human right.
>women's rights
Ah, you mean women's right to commit infanticide?

You heard the judge, rebellion now.

Bout as deep as my toilet bowl. God I fucking hate these idiots in my country.

This is entirely the point. Its not as simple as some broad, sweeping, generalization of being able to have rights or not. Its very nuanced. I'm sure the guy who tweeted it thinks he's a high-minded woke kang n' shiet.

now they care about infanticide?

He specifically said gay and women though

Why do you have rights at all?

because homosexuality is degenerate, and women base their decisions on emotion instead of reason

If they walk, think, behave like a duck ...

kek wills it

She's correct, but the implication that this is a "choice" is fucking laughable. If one chooses to wear it, then obviously I don't care. But lets not pretend there's no reprecussions or consequences and tremendous social pressures for those that don't.

As said, lets see how this shit flies in most-middle eastern countries.

What rights?

If you're talking about the right to be autonomous and not have others exert control over you, I don't really disagree with you. On the gay marriage one, I agree with him. And with women's right to vote and minority equality under the law (ie. equal protection), most people would agree except for funny Sup Forums trolls. However the idea that abortion is a "right" is laughable. Honestly, abortion doesn't bother me as much as it might to other people on here, but what the twitter dude is trying to say is lump all this shit in with 'rights' (which aren't actually fucking rights) and claim that straight white men are stepping all over everyone else. This is laughable. Look at any place in the world where women, gays, and minority groups are treated the best

(Hint: They're all predominantly white countries)

chose a real interesting time to start caring about how islam treats women

Supreme court likes to limit their hand. They let the public work shit out in legislation first. Looks at gay marriage. They avoided heavy rukings on it until the states started domino in towards allowing it.

Maybe they could say, Saudi and ISIS are funded by America? I don't know what their arguments are anymore. It's pretty much a mix of girl power and insults at this point.

What women's rights are being voted on right now

I'd like a vote on exclusive use of that woman's uterus

Because if it weren't for authority, every single one of you neets would have been slaughtered by now for having an IQ higher than 120.

The irony of everything being said by this twitter dumbass is this: Even by their own standards, and every objective standard, the countries in which homosexuals, women, and minority groups have the most 'rights' are all majority white countries (Western Europe, US, Canada, New Zealand, Australia). This idea that straight white men are stepping all over the 'oppressed' in western nations is so fucking laughable.

Abortion? Paid maternity leave? Free birth control? Guilty until proven innocent in rape cases? Death penalty for rape? Free the nipple? Gender dysphoric bathrooms? Man spreading? Lack of female character development in video games?

that's very progressive thinking right there, friend.
so if someone identifies as a gender fluid duck, well then, they're a gender fluid duck

>If Trump wins I'm moving to Canada
>What do you mean why not Mexico? What does that have to do with it?

I agree.

why do we even need to vote on things like gun and concealed carry rights like why are we even voting on whether or not someone gets rights or not

Why are pro-gun feminists so rare? Seems like feminism and gun rights go hand in hand in a way.


I dated a latina girl for a while who said this one to me, literally verbatim. "If Trump wins, I'm moving to Canada." Anytime someone says they'll leave the United States, it'll always be to a country like that. Never once has it been a non-white society. Could it be perhaps that white countries have done the best of ensuring rights of these groups?

Because feminists and women in general see the state as their sugar daddy who provides resources and protection and makes men go away (to prison) whenever she points at them.

To a woman (or a male leftist), the notion of self-defense puts the onus of responsibility on their own shoulders as they are now in some small way responsible for their own safety.

I like how these always have the one comment at the bottom for affirmation, so people can be like "oh, okay, that's what I'm supposed to think about this!"

Its called manufacturing a crisis. Like how progressives stamp their feet about wage equality but its already been achieved, so manipulate statistics to say the man is stomping on them when it really has to do with their life choices. But good post.

Yes, why Indeed.

I want that shirt desu

>American education

My choice to show off my "unique culture" to Americans for attention.

But what about all the muh empowerment and being a strong independent women talk?


Because we need it on the historical records to show which generation agreed to making a big mistake so that future folks can more easily understand why that generation made that stupid mistake and how they could avoid those decisions in the future.

i agree with him, govt does not determine what is right and wrong, they are not God

Wtf I hate America now and welcome our new black and Jewish overlords.

I agree with these gents


>You are proudly proclaiming to the world that you don't give a shit about all the child brides & women who are getting raped at refugee camps.

Well, I actually don't...

>same women who probably welcomed the refugees in the first place are the ones getting raped
I don't care either, tbqh. Hope they become redpilled afterwards.

Women and gays can already vote. Women already have every right a man does, gays were allowed civil unions (government) for equal tax benefits and hospital visiting rights but demanded it be called marriage (religion).

They literally already have everything and they're asking for more.

Women have it better than men, IMO...



Inserted here: records of crystals =
____________
A relaxed structure of Al4Te3N2, computed with PBE.

Summary:
calculated total energy: -5.15 eV/atom
mass density: 4.6 g cm⁻³
SG: Pnma
size of the total moment: 0.000 μB/atom
energy relative to the elements: -0.662 eV/atom

Lattice parameters (Å, degrees): 6.3984 11.1541 10.6083 90.00 90.00 90.00
Fractional coordinates of all 36 atoms:
Al  0.7220  0.2500  0.9583
Al  0.2220  0.2500  0.5417
Al  0.2780  0.7500  0.0417
Al  0.7780  0.7500  0.4583
Al  0.8936  0.2500  0.3920
Al  0.3936  0.2500  0.1080
Al  0.1064  0.7500  0.6080
Al  0.6064  0.7500  0.8920
Al  0.6147  0.5249  0.0998
Al  0.1147  0.9751  0.4002
Al  0.3853  0.0249  0.9002
Al  0.8853  0.4751  0.5998
Al  0.3853  0.4751  0.9002
Al  0.8853  0.0249  0.5998
Al  0.6147  0.9751  0.0998
Al  0.1147  0.5249  0.4002
Te  0.9946  0.2500  0.1509
Te  0.4946  0.2500  0.3491
Te  0.0054  0.7500  0.8491
Te  0.5054  0.7500  0.6509
Te  0.5179  0.5739  0.3402
Te  0.0179  0.9261  0.1598
Te  0.4821  0.0739  0.6598
Te  0.9821  0.4261  0.8402
Te  0.4821  0.4261  0.6598
Te  0.9821  0.0739  0.8402
Te  0.5179  0.9261  0.3402
Te  0.0179  0.5739  0.1598
N  0.4732  0.6238  0.9792
N  0.9732  0.8762  0.5208
N  0.5268  0.1238  0.0208
N  0.0268  0.3762  0.4792
N  0.5268  0.3762  0.0208
N  0.0268  0.1238  0.4792
N  0.4732  0.8762  0.9792
N  0.9732  0.6238  0.5208

~~~~~

Arrangement i

This record from the Materials Project database describes LiVF5 after structural relaxation. The functional is PBE+U.

The value obtained for the theoretical density is 2.54 Mg/m³.

abc: 5.477 5.662 7.382
angles: 104.77 99.49 110.17
Sites, in units of the cell vectors:
Li (0.174, 0.301, 0.232)
Li (0.826, 0.699, 0.768)
V (0.500, 0.000, 0.000)
V (0.500, 0.000, 0.500)
F (0.132, 0.808, 0.974)
F (0.229, 0.661, 0.379)
F (0.265, 0.156, 0.421)
F (0.386, 0.022, 0.738)
F (0.476, 0.316, 0.119)
F (0.524, 0.684, 0.881)
F (0.614, 0.978, 0.262)
F (0.735, 0.844, 0.579)
F (0.771, 0.339, 0.621)
F (0.868, 0.192, 0.026)

---

Arrangement ii

This record from the Materials Project database describes LiVF5 after structural relaxation. The functional is PBE+U.

The value obtained for the theoretical density is 2.95 Mg/m³.

abc: 10.634 10.634 10.634
angles: 95.84 95.84 142.80
Sites, in units of the cell vectors:
Li (0.139, 0.860, 0.051)
Li (0.308, 0.088, 0.449)
Li (0.360, 0.808, 0.720)
Li (0.412, 0.361, 0.220)
Li (0.588, 0.639, 0.780)
Li (0.640, 0.192, 0.280)
Li (0.692, 0.912, 0.551)
Li (0.861, 0.140, 0.949)
V (0.174, 0.320, 0.458)
V (0.180, 0.139, 0.854)
V (0.216, 0.674, 0.354)
V (0.361, 0.716, 0.042)
V (0.639, 0.284, 0.958)
V (0.784, 0.326, 0.646)
V (0.820, 0.861, 0.146)
V (0.826, 0.680, 0.542)
F (0.012, 0.797, 0.444)
F (0.068, 0.512, 0.714)
F (0.086, 0.968, 0.678)
F (0.091, 0.924, 0.907)
F (0.091, 0.997, 0.180)
F (0.092, 0.414, 0.383)
F (0.147, 0.432, 0.944)
F (0.209, 0.592, 0.178)
F (0.218, 0.747, 0.995)
F (0.247, 0.752, 0.529)
F (0.252, 0.223, 0.505)
F (0.277, 0.282, 0.029)
F (0.297, 0.353, 0.786)
F (0.317, 0.409, 0.333)
F (0.317, 0.911, 0.320)
____________
Back to the piece =

This should be plastered all over Tumblr. Oh god the SJWs would have a goddamn fit.


>marriage (religion)
>atheists do not get married
>gays cannot be religious
nice meme

makes you think m8

>1 post by this ID


Check how many posts OP has made


I don't I will ever understand this meme

It means that OP just posted the thread and bounced, presumably to distract us from actual issues circulation on the board.

Someone pasted records of crystals at this point.
-- begin --
# 1
DFT (r2SCAN) results for PrAs after structural relaxation.

* DFT formation energy: -3.520 eV per formula unit

```
data_PrAs
_chemical_formula_sum 'Pr1 As1'
_symmetry_space_group_name_H-M 'P 1'
_symmetry_Int_Tables_number 1
_cell_length_a 4.3108
_cell_length_b 4.3108
_cell_length_c 4.3108
_cell_angle_alpha 60.00
_cell_angle_beta 60.00
_cell_angle_gamma 60.00
loop_
_symmetry_equiv_pos_as_xyz
'x,y,z'
loop_
_atom_site_label
_atom_site_fract_x
_atom_site_fract_y
_atom_site_fract_z
Pr1 0.5000 0.5000 0.5000
As1 0.0000 0.0000 0.0000
```

# 2
DFT (r2SCAN) results for PrAs2Rh2 after structural relaxation.

* DFT formation energy: -5.120 eV per formula unit

```
data_PrAs2Rh2
_chemical_formula_sum 'Pr2 As4 Rh4'
_symmetry_space_group_name_H-M 'P 1'
_symmetry_Int_Tables_number 1
_cell_length_a 4.3096
_cell_length_b 4.3096
_cell_length_c 9.8916
_cell_angle_alpha 90.00
_cell_angle_beta 90.00
_cell_angle_gamma 90.00
loop_
_symmetry_equiv_pos_as_xyz
'x,y,z'
loop_
_atom_site_label
_atom_site_fract_x
_atom_site_fract_y
_atom_site_fract_z
As1 0.2500 0.2500 0.1354
As2 0.7500 0.2500 0.5000
As3 0.7500 0.7500 0.8646
Rh1 0.7500 0.7500 0.6172
Rh2 0.7500 0.2500 0.0000
Rh3 0.2500 0.2500 0.3828
Pr1 0.7500 0.7500 0.2540
As4 0.2500 0.7500 0.5000
Rh4 0.2500 0.7500 0.0000
Pr2 0.2500 0.2500 0.7460
```

# 3
DFT (r2SCAN) results for SmAsPt after structural relaxation.

* DFT formation energy: -4.235 eV per formula unit

```
data_SmAsPt
_chemical_formula_sum 'Sm4 As4 Pt4'
_symmetry_space_group_name_H-M 'P 1'
_symmetry_Int_Tables_number 1
_cell_length_a 4.3002
_cell_length_b 4.3002
_cell_length_c 15.7744
_cell_angle_alpha 90.00
_cell_angle_beta 90.00
_cell_angle_gamma 120.00
loop_
_symmetry_equiv_pos_as_xyz
'x,y,z'
loop_
_atom_site_label
_atom_site_fract_x
_atom_site_fract_y
_atom_site_fract_z
As1 0.6667 0.3333 0.1185
As2 0.3333 0.6667 0.6185
As3 0.6667 0.3333 0.3815
Pt1 0.3333 0.6667 0.1328
Sm1 0.0000 0.0000 0.5000
Pt2 0.6667 0.3333 0.6328
Pt3 0.3333 0.6667 0.3672
Pt4 0.6667 0.3333 0.8672
Sm2 0.0000 0.0000 0.0000
Sm3 0.0000 0.0000 0.2500
Sm4 0.0000 0.0000 0.7500
As4 0.3333 0.6667 0.8815
```

# 4
DFT (r2SCAN) results for SrAsPt after structural relaxation.

* DFT formation energy: -3.467 eV per formula unit

```
data_SrAsPt
_chemical_formula_sum 'Sr2 As2 Pt2'
_symmetry_space_group_name_H-M 'P 1'
_symmetry_Int_Tables_number 1
_cell_length_a 4.2575
_cell_length_b 4.2575
_cell_length_c 9.0635
_cell_angle_alpha 90.00
_cell_angle_beta 90.00
_cell_angle_gamma 120.00
loop_
_symmetry_equiv_pos_as_xyz
'x,y,z'
loop_
_atom_site_label
_atom_site_fract_x
_atom_site_fract_y
_atom_site_fract_z
Pt1 0.6667 0.3333 0.7500
As1 0.3333 0.6667 0.7500
Sr1 0.0000 0.0000 0.5000
As2 0.6667 0.3333 0.2500
Sr2 0.0000 0.0000 0.0000
Pt2 0.3333 0.6667 0.2500
```

# 5
DFT (r2SCAN) results for ZnAsPt5 after structural relaxation.

* DFT formation energy: -2.520 eV per formula unit

```
data_ZnAsPt5
_chemical_formula_sum 'Zn1 As1 Pt5'
_symmetry_space_group_name_H-M 'P 1'
_symmetry_Int_Tables_number 1
-- stop --
Back to the text.

Gay marriage is laughable and regardless which way they try to force it, it simply isn't a marriage.

>A marriage is blessed by being conducted and witnessed under the eyes of God
>Faggots constantly cry about how bad religion is, but demand "marriage" rights. We'll ignore that though because that's a different kettle of fish
>Religion dictates a marriage is a contract between a man and a woman
>Therefore unless it's a man and a woman it isn't a marriage
>It's, at best, a glorified civil ceremony

So they're getting exactly what they had in the first place, but cried about it to get the name changed. You can apply any mental gymnastics you want, but the facts stay the same. Namely that it isn't a marriage.

The supreme Court never meant to be a legislative body. Their job was to be the highewt court of appeals

Really made me have a thought